**Contents**
____________
No. 1
Structure and calculated powder diffraction line list of YTm4Lu2Ni2Te2 (a GGA-PBE-relaxed structure; Cu Kα).
Kinematic intensities with the Lorentz-polarization factor, no thermal factor.

Most intense lines, 10 to 90 degrees two-theta, in order of rising 2θ:
25.2 deg, intensity 27, (1 0 1)
29.2 deg, intensity 19, (1 3 0)
30.6 deg, intensity 19, (0 5 1)
30.7 deg, intensity 44, (1 1 2)
33.4 deg, intensity 84, (0 3 3)
34.5 deg, intensity 100, (1 4 1)
34.9 deg, intensity 85, (0 6 0)
37.0 deg, intensity 20, (1 0 3)
38.9 deg, intensity 22, (1 2 3)
45.5 deg, intensity 17, (1 1 4)
47.7 deg, intensity 30, (2 0 0)
59.5 deg, intensity 32, (2 3 3)

Structure:
Cell: 3.8136 15.3820 9.4514 Å, 90.00 90.00 90.00°
Space group Imm2 (No. 44)
Symmetry-distinct sites (fractional):
Y (0.0000, 0.0000, 0.0000) x2
Tm (0.0000, 0.1327, 0.4178) x4
Tm (0.0000, 0.3525, 0.2690) x4
Lu (0.0000, 0.3148, 0.6198) x4
Ni (0.0000, 0.2384, 0.9282) x4
Te (0.0000, 0.0000, 0.6636) x2
Te (0.0000, 0.5000, 0.7648) x2



No. 2
Structure and calculated powder diffraction line list of Y5Lu2Ni2Te2 (a GGA-PBE-relaxed structure; Cu Kα).
Kinematic intensities with the Lorentz-polarization factor, no thermal factor.

Most intense lines, 10 to 90 degrees two-theta, in order of rising 2θ:
10.9 deg, intensity 23, (0 1 1)
24.9 deg, intensity 17, (1 0 1)
28.7 deg, intensity 15, (0 1 3)
30.4 deg, intensity 38, (1 1 2)
33.1 deg, intensity 60, (0 3 3)
34.0 deg, intensity 100, (1 4 1)
34.6 deg, intensity 66, (0 6 0)
45.2 deg, intensity 18, (1 1 4)
47.1 deg, intensity 26, (2 0 0)
51.1 deg, intensity 17, (1 7 2)
58.8 deg, intensity 23, (2 3 3)
62.0 deg, intensity 16, (1 7 4)

Structure:
Cell: 3.8586 15.5811 9.5111 Å, 90.00 90.00 90.00°
Space group Imm2 (No. 44)
Symmetry-distinct sites (fractional):
Y (0.0000, 0.0000, 0.0000) x2
Y (0.0000, 0.3155, 0.6211) x4
Y (0.0000, 0.3536, 0.2667) x4
Lu (0.0000, 0.1338, 0.4162) x4
Ni (0.0000, 0.2416, 0.9267) x4
Te (0.0000, 0.0000, 0.6581) x2
Te (0.0000, 0.5000, 0.7679) x2



No. 3
Structure and calculated powder diffraction line list of Lu4Tl5Ni2 (a GGA-PBE-relaxed structure; Cu Kα).
Kinematic intensities with the Lorentz-polarization factor, no thermal factor.

Most intense lines, 10 to 90 degrees two-theta, in order of rising 2θ:
31.6 deg, intensity 47, (1 0 3)
33.3 deg, intensity 41, (1 1 -2)
34.4 deg, intensity 100, (1 1 2)
34.6 deg, intensity 44, (3 0 0)
35.2 deg, intensity 46, (2 0 -3)
36.2 deg, intensity 23, (2 1 1)
38.2 deg, intensity 28, (3 0 -2)
38.4 deg, intensity 22, (0 1 3)
38.5 deg, intensity 20, (2 1 -2)
52.0 deg, intensity 23, (0 2 0)
59.0 deg, intensity 18, (4 1 2)
64.4 deg, intensity 21, (2 2 -3)

Structure:
Cell: 7.8066 3.5155 9.4628 Å, 90.00 94.68 90.00°
Space group P2/m (No. 10)
Symmetry-distinct sites (fractional):
Lu (0.1888, 0.0000, 0.3342) x2
Lu (0.2011, 0.0000, 0.9337) x2
Tl (0.1480, 0.5000, 0.6380) x2
Tl (0.4570, 0.5000, 0.1630) x2
Tl (0.5000, 0.5000, 0.5000) x1
Ni (0.0725, 0.5000, 0.1281) x2



No. 4
Structure and calculated powder diffraction line list of LuTlZnNi (a GGA-PBE-relaxed structure; Cu Kα).
Kinematic intensities with the Lorentz-polarization factor, no thermal factor.

Most intense lines, 10 to 90 degrees two-theta, in order of rising 2θ:
23.1 deg, intensity 25, (1 1 1)
38.2 deg, intensity 100, (2 2 0)
45.2 deg, intensity 14, (3 1 1)
55.2 deg, intensity 17, (4 0 0)
60.6 deg, intensity 6, (3 3 1)
69.1 deg, intensity 35, (4 2 2)
74.0 deg, intensity 5, (5 1 1)
81.8 deg, intensity 11, (4 4 0)
86.5 deg, intensity 5, (5 3 1)

Structure:
Cell: 6.6592 6.6592 6.6592 Å, 90.00 90.00 90.00°
Space group F-43m (No. 216)
Symmetry-distinct sites (fractional):
Lu (0.0000, 0.0000, 0.0000) x4
Tl (0.2500, 0.2500, 0.2500) x4
Zn (0.2500, 0.2500, 0.7500) x4
Ni (0.0000, 0.0000, 0.5000) x4



What is the formula in the first record?
YTm4Lu2Ni2Te2

=====

Starting from DFT lattice parameters and positions (GGA-PBE), the powder diffractogram of U3Cu2S7 was computed for Cu Ka.
____________

**What to do**
Repeat everything above word for word, please.

**Result**
No. 1
Structure and calculated powder diffraction line list of YTm4Lu2Ni2Te2 (a GGA-PBE-relaxed structure; Cu Kα).
Kinematic intensities with the Lorentz-polarization factor, no thermal factor.

Most intense lines, 10 to 90 degrees two-theta, in order of rising 2θ:
25.2 deg, intensity 27, (1 0 1)
29.2 deg, intensity 19, (1 3 0)
30.6 deg, intensity 19, (0 5 1)
30.7 deg, intensity 44, (1 1 2)
33.4 deg, intensity 84, (0 3 3)
34.5 deg, intensity 100, (1 4 1)
34.9 deg, intensity 85, (0 6 0)
37.0 deg, intensity 20, (1 0 3)
38.9 deg, intensity 22, (1 2 3)
45.5 deg, intensity 17, (1 1 4)
47.7 deg, intensity 30, (2 0 0)
59.5 deg, intensity 32, (2 3 3)

Structure:
Cell: 3.8136 15.3820 9.4514 Å, 90.00 90.00 90.00°
Space group Imm2 (No. 44)
Symmetry-distinct sites (fractional):
Y (0.0000, 0.0000, 0.0000) x2
Tm (0.0000, 0.1327, 0.4178) x4
Tm (0.0000, 0.3525, 0.2690) x4
Lu (0.0000, 0.3148, 0.6198) x4
Ni (0.0000, 0.2384, 0.9282) x4
Te (0.0000, 0.0000, 0.6636) x2
Te (0.0000, 0.5000, 0.7648) x2



No. 2
Structure and calculated powder diffraction line list of Y5Lu2Ni2Te2 (a GGA-PBE-relaxed structure; Cu Kα).
Kinematic intensities with the Lorentz-polarization factor, no thermal factor.

Most intense lines, 10 to 90 degrees two-theta, in order of rising 2θ:
10.9 deg, intensity 23, (0 1 1)
24.9 deg, intensity 17, (1 0 1)
28.7 deg, intensity 15, (0 1 3)
30.4 deg, intensity 38, (1 1 2)
33.1 deg, intensity 60, (0 3 3)
34.0 deg, intensity 100, (1 4 1)
34.6 deg, intensity 66, (0 6 0)
45.2 deg, intensity 18, (1 1 4)
47.1 deg, intensity 26, (2 0 0)
51.1 deg, intensity 17, (1 7 2)
58.8 deg, intensity 23, (2 3 3)
62.0 deg, intensity 16, (1 7 4)

Structure:
Cell: 3.8586 15.5811 9.5111 Å, 90.00 90.00 90.00°
Space group Imm2 (No. 44)
Symmetry-distinct sites (fractional):
Y (0.0000, 0.0000, 0.0000) x2
Y (0.0000, 0.3155, 0.6211) x4
Y (0.0000, 0.3536, 0.2667) x4
Lu (0.0000, 0.1338, 0.4162) x4
Ni (0.0000, 0.2416, 0.9267) x4
Te (0.0000, 0.0000, 0.6581) x2
Te (0.0000, 0.5000, 0.7679) x2



No. 3
Structure and calculated powder diffraction line list of Lu4Tl5Ni2 (a GGA-PBE-relaxed structure; Cu Kα).
Kinematic intensities with the Lorentz-polarization factor, no thermal factor.

Most intense lines, 10 to 90 degrees two-theta, in order of rising 2θ:
31.6 deg, intensity 47, (1 0 3)
33.3 deg, intensity 41, (1 1 -2)
34.4 deg, intensity 100, (1 1 2)
34.6 deg, intensity 44, (3 0 0)
35.2 deg, intensity 46, (2 0 -3)
36.2 deg, intensity 23, (2 1 1)
38.2 deg, intensity 28, (3 0 -2)
38.4 deg, intensity 22, (0 1 3)
38.5 deg, intensity 20, (2 1 -2)
52.0 deg, intensity 23, (0 2 0)
59.0 deg, intensity 18, (4 1 2)
64.4 deg, intensity 21, (2 2 -3)

Structure:
Cell: 7.8066 3.5155 9.4628 Å, 90.00 94.68 90.00°
Space group P2/m (No. 10)
Symmetry-distinct sites (fractional):
Lu (0.1888, 0.0000, 0.3342) x2
Lu (0.2011, 0.0000, 0.9337) x2
Tl (0.1480, 0.5000, 0.6380) x2
Tl (0.4570, 0.5000, 0.1630) x2
Tl (0.5000, 0.5000, 0.5000) x1
Ni (0.0725, 0.5000, 0.1281) x2



No. 4
Structure and calculated powder diffraction line list of LuTlZnNi (a GGA-PBE-relaxed structure; Cu Kα).
Kinematic intensities with the Lorentz-polarization factor, no thermal factor.

Most intense lines, 10 to 90 degrees two-theta, in order of rising 2θ:
23.1 deg, intensity 25, (1 1 1)
38.2 deg, intensity 100, (2 2 0)
45.2 deg, intensity 14, (3 1 1)
55.2 deg, intensity 17, (4 0 0)
60.6 deg, intensity 6, (3 3 1)
69.1 deg, intensity 35, (4 2 2)
74.0 deg, intensity 5, (5 1 1)
81.8 deg, intensity 11, (4 4 0)
86.5 deg, intensity 5, (5 3 1)

Structure:
Cell: 6.6592 6.6592 6.6592 Å, 90.00 90.00 90.00°
Space group F-43m (No. 216)
Symmetry-distinct sites (fractional):
Lu (0.0000, 0.0000, 0.0000) x4
Tl (0.2500, 0.2500, 0.2500) x4
Zn (0.2500, 0.2500, 0.7500) x4
Ni (0.0000, 0.0000, 0.5000) x4



What is the formula in the first record?
YTm4Lu2Ni2Te2

=====

Starting from DFT lattice parameters and positions (GGA-PBE), the powder diffractogram of U3Cu2S7 was computed for Cu Ka.